The DAO Pickle

Tere Vadén
Economic Spacing
Published in
3 min readOct 12, 2016

#theDAO pickle: if code=law, the dao legal, but the attack too: if code≠law, the attack illegal, but the DAO too

Someone pasted materials data at this point:
- - -
No. 1
A plane-wave DFT calculation with GGA-PBE was carried out for Pm2HfGe after structural relaxation.

total DFT energy (no corrections) = -24.8 eV per cell
ρ = 9.096 g/cm³

Lattice parameters (Å, degrees): 4.5723 4.6482 4.6482 90.00 90.00 90.00
Last column: nearest neighbours and their distance in Å.
Fractional positions:
1 Hf 0.5000 0.0000 0.0000  8 Pm 3.26, 4 Ge 3.29
2 Pm 0.0000 0.0000 0.5000  4 Ge 3.26, 4 Hf 3.26, 4 Pm 3.29
3 Pm 0.0000 0.5000 0.0000  4 Ge 3.26, 4 Hf 3.26, 4 Pm 3.29
4 Ge 0.5000 0.5000 0.5000  8 Pm 3.26, 4 Hf 3.29

No. 2
A plane-wave DFT calculation with GGA-PBE was carried out for Dy2Ga5Fe after structural relaxation.

total DFT energy (no corrections) = -35.8 eV per cell
ρ = 7.704 g/cm³

Lattice parameters (Å, degrees): 6.0417 6.0417 6.0417 90.97 119.44 119.44
Last column: nearest neighbours and their distance in Å.
Fractional positions:
1 Ga 0.4346 0.7169 0.7169  1 Fe 2.45, 2 Ga 2.65
2 Dy 0.5000 0.7516 0.2516  10 Ga 3.02-3.05
3 Fe 0.0000 0.9659 0.9659  5 Ga 2.45
4 Ga 0.5654 0.2823 0.2823  1 Fe 2.45, 2 Ga 2.65
5 Ga 0.0000 0.2823 0.7169  1 Fe 2.45, 2 Ga 2.65
6 Ga 0.0000 0.7169 0.2823  1 Fe 2.45, 2 Ga 2.65
7 Dy 0.5000 0.2516 0.7516  10 Ga 3.02-3.05
8 Ga 0.0000 0.2546 0.2546  1 Fe 2.45

No. 3
A plane-wave DFT calculation with GGA-PBE was carried out for BaMnNbP2 after structural relaxation.

total DFT energy (no corrections) = -27.8 eV per cell
ρ = 5.206 g/cm³

Lattice parameters (Å, degrees): 4.6182 5.1909 4.6182 90.00 90.00 90.00
Last column: nearest neighbours and their distance in Å.
Fractional positions:
1 P 0.5000 0.0000 0.0000  2 Mn 2.31
2 Nb 0.5000 0.5000 0.5000  4 Ba 3.27, 8 P 3.47
3 Ba 0.0000 0.5000 0.0000  2 Mn 2.60
4 Mn 0.0000 0.0000 0.0000  4 P 2.31
5 P 0.0000 0.0000 0.5000  2 Mn 2.31

No. 4
A plane-wave DFT calculation with GGA-PBE was carried out for Ca2Ni2Pt after structural relaxation.

total DFT energy (no corrections) = -22.9 eV per cell
ρ = 6.669 g/cm³
polymorph energy (0 for the lowest one) = 109 meV/atom

Lattice parameters (Å, degrees): 3.4110 3.4110 8.7419 78.75 78.75 90.00
Last column: nearest neighbours and their distance in Å.
Fractional positions:
1 Ni 0.7500 0.2500 0.5000  4 Ni 2.41
2 Pt 0.0000 0.0000 0.0000  8 Ca 2.99
3 Ca 0.6051 0.6051 0.7898  4 Ni 2.97, 4 Pt 2.99
4 Ni 0.2500 0.7500 0.5000  4 Ni 2.41
5 Ca 0.3949 0.3949 0.2102  4 Ni 2.97, 4 Pt 2.99

No. 5
A plane-wave DFT calculation with GGA-PBE was carried out for Ca2SnS4 after structural relaxation.

total DFT energy (no corrections) = -32.9 eV per cell
ρ = 2.438 g/cm³
formation energy without anion corrections = -1.203 eV/atom
polymorph energy (0 for the lowest one) = 195 meV/atom

Lattice parameters (Å, degrees): 7.6047 7.6047 7.6047 134.14 134.14 66.87
Last column: nearest neighbours and their distance in Å.
Fractional positions:
1 S 0.0877 0.6031 0.9541  1 Sn 2.43
2 Ca 0.2500 0.7500 0.5000  4 S 2.74
3 S 0.3969 0.3509 0.4845  1 Sn 2.43
4 Sn 0.7500 0.2500 0.5000  4 S 2.43
5 S 0.8664 0.9123 0.5155  1 Sn 2.43
- - -

Eating and having at the same time
One interesting strand of the “the DAO discussion” dwelves around the issue if code is law or not. In a very straightforward sense, it isn’t, since when it comes to actual jurisprudence, the judges and other experts will see the law at least partially elsewhere. Another issue is whether (some) of the initiators of the DAO or any other DAO like entity want to create a situation where code is law. That is a wish that can be argued for with some merit: the law as it exists is a system that can and has been hacked, bent, made to obey the will of the rich and the powerful. Taking the human element out of the equation can provide predictability.

The discussion contains a nice paradox. If one wants to argue that “code is law” or at least that it should be such, and that is the way the DAO contract is/should be interpreted, then it follows that the attack was well within the parameters of what is “legal”, as the pastebin “open letter” argues. On the other hand, if one wants to say that the attacker’s actions broke the intent of the contract, and are illegal, then one is, a fortiori, also arguing that the original DAO contract could not have been the DAO code, but something beyond it. Whether that “something beyond” is a contract explained in English or something else, one is also pretty much pointing out the fact that the DAO itself failed to follow the securities law. One can not have it both ways: saying that the DAO is “legal” but the attack not, or saying that the attack is “illegal” but the DAO not.

The DAO contract was indeed communicated also in plain English. This means that one viewpoint is to see the code simply as a tool for implementing that plain English contract. From the opposite perspective, it can be claimed that the code is the contract, and the plain English text exists only in order to help the non-code-literate to understand the code-contract. This possibility to see either the code or the English description as the contract and then the code or the description, repectively, as the explanation, is relevant with regard to interpreting what was the intent of the people setting up the contract. Is it expressed in the code or the English text?

Code is code

The attack and the bug that made it possible show that whether code is law or not, it certainly is code. And code that wants to do complex things easily contains hard-to-spot bugs. The code itself does not have to be complex, it is enough that what it intends to do is complex. There are numerous examples of text-books of logic that have been used for years with benefit, before people notice that the axiomatization contaisn a hidden contradiction — the case of Russell’s paradox is maybethe most famous. It is extremely likely (though, of course, not provably necessary) that any human created code that wants to do complex things will contain “bugs”, will do things it was not supposed or foreseen to do. Failing to execute is one of these possibilities. It hard to see what the interpretation of “code is law” is supposed to be in a situation of a code that does not execute, or functions in ways beyond human analysis. So, taken to an extreme the doctrine becomes moot. “Law”, like justice, is a human thing.

On the other hand, it is hard to see why people who want to conduct business in a “coded” manner through predefined smart contracts should not be allowed to do so. Consumer protection is one thing, but it shouldn’t make impossible automated business between consenting adults. Hopefully one of the lasting lessons of the DAO crisis will be that there is no “one-size-fits-all” model, not on the side of traditional business and not on the side of blockchain business. Rather than make overarching and universal structures, in an unknown territory it is better to investigate, send small teams here and there, test, iterate. It would be very surprising if we hit on “the” right model for doing anything straight away, or even during the first years of iteration. Rather than “the” DAO, we need many little daos.

